Please echo only the last part of the calculation results further below, starting with the line that has "1.517, O5".

+++
# 1
Formula: C2H2F2O2P
Source: the OMol25 dataset
Level of theory: the ωB97M-V functional and the def2-TZVPD basis

Each atom is followed by the atoms it is bonded to, with distances in Å.
Geometry (Å):
1 C 1.300 -1.211 -0.081  O3 1.195, O4 1.181
2 C 0.101 0.892 -0.027  F5 1.439, F6 1.427, P7 1.829
3 O 2.376 -0.932 -0.518  C1 1.195
4 O 0.403 -1.907 0.245  C1 1.181
5 F 0.372 1.831 -1.084  C2 1.439
6 F 0.301 1.662 1.157  C2 1.427
7 P -1.703 0.599 -0.062  C2 1.829, H8 1.412, H9 1.542
8 H -1.568 -0.158 1.122  P7 1.412
9 H -1.582 -0.776 -0.750  P7 1.542

Energy relative to the best compared isomer or geometry (same formula, charge and spin) (eV): 1.314
Net charge: -1
DFT total energy (eV): -20924.801
LUMO energy (eV): 4.0645
Highest occupied orbital energy (Eh): -0.104

=====

# 2
Formula: C2H2F2O3
Source: the OMol25 dataset
Level of theory: the ωB97M-V functional and the def2-TZVPD basis

Each atom is followed by the atoms it is bonded to, with distances in Å.
Geometry (Å):
1 O -0.617 -0.767 -0.216  C2 1.218
2 C 0.261 0.078 -0.248  O1 1.218, O3 1.300, C4 1.517
3 O 0.179 1.324 -0.610  C2 1.300, H7 0.948
4 C 1.695 -0.167 0.181  C2 1.517, O5 1.190, F6 1.328
5 O 2.466 -0.948 -0.279  C4 1.190
6 F 2.085 0.741 1.068  C4 1.328
7 H -0.632 1.661 -0.964  O3 0.948
8 F -3.136 -0.684 0.584  H9 1.007
9 H -2.300 -1.237 0.483  F8 1.007

SMILES: O=C(O)C(=O)F.F
Energy relative to the best compared isomer or geometry (same formula, charge and spin) (eV): 0.636
DFT total energy (eV): -13683.736
LUMO energy (eV): -0.2446
Highest occupied orbital energy (Eh): -0.440

=====

# 3
Formula: C2H2F2S2
Source: the OMol25 dataset
Level of theory: the ωB97M-V functional and the def2-TZVPD basis

Each atom is followed by the atoms it is bonded to, with distances in Å.
Geometry (Å):
1 F -2.972 -1.542 -0.360  C2 1.363
2 C -2.455 -0.367 0.098  F1 1.363, S3 1.621, C4 1.507
3 S -3.274 1.029 0.008  C2 1.621
4 C -0.960 -0.333 0.282  C2 1.507, F5 1.311, S6 1.943, H7 1.108
5 F -0.577 -1.357 1.005  C4 1.311
6 S 0.005 -0.405 -1.404  C4 1.943, H8 1.353
7 H -0.831 0.624 0.826  C4 1.108
8 H 0.230 0.900 -1.681  S6 1.353

SMILES: FC(=S)[C@@H](F)S
Energy relative to the best compared isomer or geometry (same formula, charge and spin) (eV): 0.845
DFT total energy (eV): -29210.405
LUMO energy (eV): -1.0852
Highest occupied orbital energy (Eh): -0.365

=====

# 4
Formula: C2H2F2S2
Source: the OMol25 dataset
Level of theory: the ωB97M-V functional and the def2-TZVPD basis

Each atom is followed by the atoms it is bonded to, with distances in Å.
Geometry (Å):
1 C 0.527 -0.375 0.067  C2 1.334, F3 1.348, S5 1.710
2 C -0.766 -0.117 -0.137  C1 1.334, S6 1.613
3 F 0.905 -1.647 0.303  C1 1.348
4 F -0.208 1.938 -0.044  no bonds
5 S 1.780 0.775 0.239  C1 1.710, H7 1.407
6 S -2.318 -0.082 0.302  C2 1.613, H8 1.473
7 H 2.794 -0.193 0.369  S5 1.407
8 H -2.715 -0.299 -1.100  S6 1.473

Energy relative to the best compared isomer or geometry (same formula, charge and spin) (eV): 3.680
DFT total energy (eV): -29207.570
LUMO energy (eV): -0.9812
Highest occupied orbital energy (Eh): -0.348

=====

> What is the DFT total energy in the fourth record?

-29207.570 eV

=====

The following is a quantum chemistry calculation of 12 unconnected molecules or ions with the total composition C48H110F6O24 in a non-equilibrium geometry, from the OMol25 dataset.

Bonds (Å) are listed after each position.
Geometry (Å):
1 C -1.094 0.998 3.517  O2 1.444, H7 1.090, H8 1.090, H9 1.090
2 O -1.621 0.582 2.239  C1 1.444, C3 1.394
3 C -2.760 -0.221 2.267  O2 1.394, C4 1.484, H10 1.090, H11 1.090
4 C -3.924 0.431 2.917  C3 1.484, O5 1.449, H12 1.090, H13 1.090
5 O -5.167 -0.190 2.508  C4 1.449, C6 1.391
6 C -6.315 0.094 3.242  O5 1.391, H14 1.090, H15 1.090, H16 1.090
7 H -1.258 0.276 4.318  C1 1.090
8 H -1.551 1.914 3.892  C1 1.090
9 H -0.015 1.087 3.393  C1 1.090
10 H -2.499 -1.144 2.785  C3 1.090
11 H -3.047 -0.525 1.260  C3 1.090
12 H -3.928 1.508 2.749  C4 1.090
13 H -3.848 0.332 4.000  C4 1.090
+++

4 C 1.695 -0.167 0.181  C2 1.517, O5 1.190, F6 1.328
5 O 2.466 -0.948 -0.279  C4 1.190
6 F 2.085 0.741 1.068  C4 1.328
7 H -0.632 1.661 -0.964  O3 0.948
8 F -3.136 -0.684 0.584  H9 1.007
9 H -2.300 -1.237 0.483  F8 1.007

SMILES: O=C(O)C(=O)F.F
Energy relative to the best compared isomer or geometry (same formula, charge and spin) (eV): 0.636
DFT total energy (eV): -13683.736
LUMO energy (eV): -0.2446
Highest occupied orbital energy (Eh): -0.440

=====

# 3
Formula: C2H2F2S2
Source: the OMol25 dataset
Level of theory: the ωB97M-V functional and the def2-TZVPD basis

Each atom is followed by the atoms it is bonded to, with distances in Å.
Geometry (Å):
1 F -2.972 -1.542 -0.360  C2 1.363
2 C -2.455 -0.367 0.098  F1 1.363, S3 1.621, C4 1.507
3 S -3.274 1.029 0.008  C2 1.621
4 C -0.960 -0.333 0.282  C2 1.507, F5 1.311, S6 1.943, H7 1.108
5 F -0.577 -1.357 1.005  C4 1.311
6 S 0.005 -0.405 -1.404  C4 1.943, H8 1.353
7 H -0.831 0.624 0.826  C4 1.108
8 H 0.230 0.900 -1.681  S6 1.353

SMILES: FC(=S)[C@@H](F)S
Energy relative to the best compared isomer or geometry (same formula, charge and spin) (eV): 0.845
DFT total energy (eV): -29210.405
LUMO energy (eV): -1.0852
Highest occupied orbital energy (Eh): -0.365

=====

# 4
Formula: C2H2F2S2
Source: the OMol25 dataset
Level of theory: the ωB97M-V functional and the def2-TZVPD basis

Each atom is followed by the atoms it is bonded to, with distances in Å.
Geometry (Å):
1 C 0.527 -0.375 0.067  C2 1.334, F3 1.348, S5 1.710
2 C -0.766 -0.117 -0.137  C1 1.334, S6 1.613
3 F 0.905 -1.647 0.303  C1 1.348
4 F -0.208 1.938 -0.044  no bonds
5 S 1.780 0.775 0.239  C1 1.710, H7 1.407
6 S -2.318 -0.082 0.302  C2 1.613, H8 1.473
7 H 2.794 -0.193 0.369  S5 1.407
8 H -2.715 -0.299 -1.100  S6 1.473

Energy relative to the best compared isomer or geometry (same formula, charge and spin) (eV): 3.680
DFT total energy (eV): -29207.570
LUMO energy (eV): -0.9812
Highest occupied orbital energy (Eh): -0.348

=====

> What is the DFT total energy in the fourth record?

-29207.570 eV

=====

The following is a quantum chemistry calculation of 12 unconnected molecules or ions with the total composition C48H110F6O24 in a non-equilibrium geometry, from the OMol25 dataset.

Bonds (Å) are listed after each position.
Geometry (Å):
1 C -1.094 0.998 3.517  O2 1.444, H7 1.090, H8 1.090, H9 1.090
2 O -1.621 0.582 2.239  C1 1.444, C3 1.394
3 C -2.760 -0.221 2.267  O2 1.394, C4 1.484, H10 1.090, H11 1.090
4 C -3.924 0.431 2.917  C3 1.484, O5 1.449, H12 1.090, H13 1.090
5 O -5.167 -0.190 2.508  C4 1.449, C6 1.391
6 C -6.315 0.094 3.242  O5 1.391, H14 1.090, H15 1.090, H16 1.090
7 H -1.258 0.276 4.318  C1 1.090
8 H -1.551 1.914 3.892  C1 1.090
9 H -0.015 1.087 3.393  C1 1.090
10 H -2.499 -1.144 2.785  C3 1.090
11 H -3.047 -0.525 1.260  C3 1.090
12 H -3.928 1.508 2.749  C4 1.090
13 H -3.848 0.332 4.000  C4 1.090